
i thought america was too horrible to yield a law like this. how cool!

the former obviously (imo). those legislators are such jerks that if the only women who existed were white southern belles, republicans probably wouldn’t feel the need for half the socially conservative legislation they pass...including this one.

your interpretation is wrong, about caring more about the addiction than you. they PRIORITIZE it more, but they might simultaneously hate it and love you. they’re trapped by demons and need help, because i assume the best about people and believe they’ll get back to prioritizing you when they’ve escaped.

how ironic: if democracy is dismantled through constitutional democratic means...what do you call that?

so white people look similar but it’s racist regarding minorities.

so racism cured? thank god!

it’s not considered a religion in other countries. they must’ve had dirt on 1 person at the IRS. All scientology did is get a powerful person at the IRS to legally designate them as a religion.

Bennie and the Jets would minimize the horror. But Crocodile Rock or Rocket Man...that would be deadly.

the law is kafka-esque. it basically says if a precinct count looks suspicious (the tallies don’t match) that is exactly the precinct you’re forbidden to recount. you could not make this up.

you do, just enough to get their vote. make them feel heard and then do the right thing afterwards. trump made them feel heard and then does the wrong thing afterwards. but liberals could’ve made them feel heard too, but blew it.

but i don’t wanna love trump’s hate :(:(:(:(:(

they can still be amazing films by a bad man. hell, the original birth of a nation still has an important place in film schools...

Imagine if they had been Muslims. What if a Muslim publication pushed a false conspiracy theory accusing high American officials and an ordinary American restaurant of being involved in child abuse? and then an unbalanced Muslim went into it and shot off a firearm on the premises? They’d all be in Gitmo before

Here here!

• Unrelated to this page: records of crystals:
=====
# 1
Compound: Ba2IrO3
Source: the Alexandria database
Functional: PBE-GGA
Structure: optimized geometry

a b c (Å): 5.859 12.067 12.569
angles (deg): 90.00 95.30 90.00
Space group C2/c (No. 15)
Unique sites:
Ba 0.224 0.104 0.425 [8 per cell]
Ba 0.227 0.197 0.853 [8 per cell]
Ir 0.156 0.493 0.318 [8 per cell]
O 0.000 0.019 0.750 [4 per cell]
O 0.000 0.362 0.750 [4 per cell]
O 0.225 0.330 0.367 [8 per cell]
O 0.238 0.086 0.044 [8 per cell]

Formation energy (no corrections) (eV/atom): -1.674
Crystal system: monoclinic

# 2
Compound: Au7Cl6
Source: the Alexandria database
Functional: PBE-GGA
Structure: optimized geometry

a b c (Å): 6.1167 6.1167 28.7225
angles (deg): 90.00 90.00 120.00
Space group R-3m (No. 166, hexagonal axes)
Unique sites:
Au 0.0000 0.0000 0.0000 [3 per cell]
Au 0.0086 0.5043 0.5866 [18 per cell]
Cl 0.0000 0.0000 0.1451 [6 per cell]
Cl 0.0000 0.0000 0.3120 [6 per cell]
Cl 0.0000 0.0000 0.4279 [6 per cell]

Formation energy (no corrections) (eV/atom): 0.119
Crystal system: trigonal

~~~~~

CuReCl6: relaxed, PBE.

Values from the calculation:
The symmetry is No. 12. As for the formation energy (no corrections): -0.5486 eV/atom. The value obtained for the relative energy among the computed polymorphs is 0.000 eV per atom. The electronic total energy is -32.01 eV/f.u.

Cell and atoms, written as extended XYZ:
```
16
Lattice="6.7710 0.0000 0.0000 0.0000 11.4068 0.0000 -0.1895 0.0000 6.0506" Properties=species:S:1:pos:R:3 pbc="T T T"
Cu 0.0000 0.0000 0.0000
Cu 3.3855 5.7034 0.0000
Re -0.0947 0.0000 3.0253
Re 3.2908 5.7034 3.0253
Cl 0.8102 1.6313 4.4618
Cl 0.8102 9.7755 4.4618
Cl 1.3722 5.7034 4.3938
Cl 1.8238 0.0000 1.6569
Cl 2.3858 4.0721 1.5888
Cl 2.3858 7.3347 1.5888
Cl 4.1957 4.0721 4.4618
Cl 4.1957 7.3347 4.4618
Cl 4.7577 0.0000 4.3938
Cl 5.2093 5.7034 1.6569
Cl 5.7713 1.6313 1.5888
Cl 5.7713 9.7755 1.5888
```
=====

aren’t like 50% of saudis “the warren buffets of arabia”? at least the hundreds of royals would surely all quality.

everything in a script isn’t an endorsement. sometimes an awesome script can include a character saying something misguided.

can’t say it’s like the 1800s anymore. it’s like 2016, which will put the 1800s to shame..

“the worst part” was when inhofe simply THREW the snowball to someone off-screen. i was thinking, that poor intern! if it was me, i’d throw it back and then play dumb, like what i thought we were playing catch!

political chinannery is so sad: this incident was win-win from him. Either the conference happens and he gets tons of credit for fighting tooth and nail against insurmountable odds, or the conference doesn’t happen and he gets tons of credit for stopping the evil doers.

don’t mischaracterize. i’ve been saying Sweden should’ve sent questioners to the embassy years ago, if they wanted to question him. it’s the 21st century - why does the room used for questioning matter?